Wednesday, August 29, 2007

winterize the garden ..

For my climate it is time to put in fall veggies... barely time that is... I am separating off branches of my sweet potato plants, and sprigging them in the dirt hoping to create more sweet potatos before winter... First frost here is usually in november... So I still have time to get potatoes in the ground, and start some more spinich ... possibly broccoli and cabbage ... they like it cooler ...
Im covering areas of the garden with my black tarp to kill off the weeds and compost them into my soil.. trhen I will pull and rake the remaining vegitation out of the area ready for planting... then I may even amend the soil with some compost.. We will see.
for the better part of the production year my garden reamined fairly weed free but 3 weeks of no attention has seen nature take back over .. and leaves me with a lot more work !
I know I can get my gardens production to be great and cover several seasons but it is a learning process for me as I discover which plants can tollerate being planted late and which cannot..
I will of course let you know !

Friday, August 17, 2007

the economy and being green

The fed drops interest rates, and consumer confidence wanes? sound familiar? the housing market slumps , and people are invested deeply in the stock market. milk has increased by over 21% eggs 33% solution? Well mine is ... get a couple hens and start milking my goat. Only trouble with that is, in the US many states now make it illegal to milk and consume your own dairy. did you know that ? the corporations that control US dairy have pushed to make it illegal for you to drink share or sell your own milk or goats milk.

there are facts in the world, Food is a marketable comodity. people need food shelter and clothing. so I can spin yarn and grow food 2 down . most food travels a minimum of 3000 miles to reach your table . it stands to reason then to buy local helps the environment.
when you buy local produce, and from local farmers for your meat and dairy , you encourage those around you who farm, to increase their production.

I helped feed 5 added families produce from my garden this year. I will next year try to offer some for sale at my local farmers market , only I will try to grow unique and gourmet items.
but because of the prices of food increasing I will put up more food. I will can and freeze as much as I can store. it is local and as long as my freezer is efficent and an energy saver, it should be better than having my food shipped in from China .. or the honduras. So besides veggies, I will be putting up lamb and chicken, and I guess in the spring when my goats "freshen" I will learn how to cleanly milk them and begin using that too.

a comment on things to do !

Helen said...
I love water bottles -- they let me carry water in a perfect sized container -- anywhere! And I drink a LOT of water if I have one w/ me. I WISH they'd make a nalgene bottle in the easy to use size... but until they do, I buy one or two bottles of water in the evil plastic, but reuse them to death. Eventually, someone will decide that my empty water bottle is really trash, and recycle it before I can stop it... but for now, we rotate about a six-pack worth through the refrigerator, refilling whenever we drink from them. It doesn't eliminate the plastic use, but it sure cuts down.
August 13, 2007 12:17 PM

Great idea Helen !
every little bit helps!
I encourage everyone I know to change out light bulbs for the more efficent flourescent bulbs.
i have even bought friends who were on a tight budget a pack of 5 or so. We ALL know the regulars will burn out, and if money was tight then they will eventually uise the flourescent ones to be able to not have to run to the store. lol and maybe the better bulb will just "stick"

Wednesday, August 8, 2007

- - -
(1)
## Ca3SiH14CSO10 (PBE-GGA)

Data for a relaxed structure of Ca3SiH14CSO10.

a b c (Å): 9.154 9.154 10.025
angles (deg): 90.00 90.00 120.00
Atoms (fractional coordinates):
1 H 0.182 0.608 0.796
2 O 0.000 0.000 0.626
3 O 0.301 0.511 0.195
4 O 0.511 0.211 0.695
5 O 0.178 0.026 0.394
6 O 0.798 0.294 0.056
7 H 0.398 0.261 0.450
8 H 0.667 0.333 0.281
9 O 0.505 0.798 0.556
10 O 0.822 0.974 0.894
11 O 0.026 0.849 0.894
12 H 0.455 0.827 0.719
13 C 0.667 0.333 0.693
14 S 0.667 0.333 0.015
15 H 0.449 0.356 0.456
16 Ca 0.196 0.243 0.252
17 H 0.333 0.667 0.781
18 H 0.667 0.333 0.881
19 H 0.356 0.908 0.956
20 H 0.372 0.545 0.719
21 O 0.211 0.699 0.195
22 Si 0.000 0.000 0.960
23 H 0.261 0.863 0.950
24 H 0.392 0.574 0.796
25 H 0.602 0.739 0.950
26 Ca 0.804 0.757 0.752
27 O 0.974 0.151 0.394
28 H 0.333 0.667 0.381
29 H 0.827 0.372 0.219
30 H 0.628 0.455 0.219
31 H 0.173 0.628 0.719
32 Ca 0.048 0.804 0.252
33 O 0.489 0.789 0.195
34 H 0.818 0.392 0.296
35 H 0.574 0.182 0.296
36 H 0.545 0.173 0.219
37 H 0.137 0.398 0.950
38 O 0.849 0.822 0.394
39 C 0.333 0.667 0.193
40 O 0.789 0.301 0.695
41 H 0.739 0.137 0.450
42 O 0.000 0.000 0.126
43 S 0.333 0.667 0.515
44 H 0.551 0.644 0.956
45 H 0.092 0.449 0.956
46 O 0.202 0.706 0.556
47 H 0.644 0.092 0.456
48 O 0.706 0.505 0.056
49 O 0.294 0.495 0.556
50 O 0.495 0.202 0.056
51 Si 0.000 0.000 0.460
52 H 0.863 0.602 0.450
53 H 0.908 0.551 0.456
54 Ca 0.952 0.196 0.752
55 O 0.699 0.489 0.695
56 Ca 0.243 0.048 0.752
57 Ca 0.757 0.952 0.252
58 H 0.426 0.818 0.796
59 O 0.151 0.178 0.894
60 H 0.608 0.426 0.296

The symmetry is No. 173. Its crystal system is hexagonal. The formation energy is -1.2767 eV per atom.

---

(2)
## Ca4Si2H2CO11 (PBE-GGA)

Data for a relaxed structure of Ca4Si2H2CO11.

a b c (Å): 23.630 7.643 11.656
angles (deg): 71.06 90.00 90.00
Atoms (fractional coordinates):
1 Si 0.414 0.476 0.376
2 Si 0.782 0.018 0.128
3 O 0.242 0.187 0.875
4 O 0.947 0.262 0.726
5 O 0.951 0.863 0.523
6 O 0.050 0.880 0.996
7 Ca 0.306 0.597 0.060
8 Si 0.914 0.524 0.124
9 O 0.240 0.400 0.008
10 O 0.644 0.690 0.875
11 Ca 0.690 0.722 0.304
12 Ca 0.806 0.403 0.440
13 O 0.357 0.064 0.625
14 O 0.551 0.761 0.226
15 O 0.897 0.312 0.127
16 Ca 0.045 0.811 0.625
17 O 0.258 0.187 0.375
18 Ca 0.957 0.434 0.875
19 O 0.758 0.464 0.247
20 Ca 0.543 0.434 0.375
21 Ca 0.457 0.566 0.625
22 Ca 0.809 0.223 0.807
23 Si 0.586 0.524 0.624
24 O 0.549 0.625 0.504
25 Ca 0.454 0.310 0.128
26 O 0.867 0.815 0.622
27 O 0.103 0.688 0.873
28 O 0.359 0.556 0.632
29 O 0.633 0.815 0.122
30 O 0.258 0.974 0.244
31 H 0.347 0.774 0.206
32 Ca 0.954 0.690 0.372
33 O 0.051 0.239 0.274
34 H 0.353 0.110 0.537
35 Si 0.718 0.607 0.622
36 O 0.648 0.000 0.631
37 O 0.950 0.120 0.004
38 O 0.397 0.688 0.373
39 Ca 0.808 0.905 0.444
40 Si 0.782 0.607 0.122
41 Si 0.914 0.102 0.126
42 Ca 0.455 0.811 0.125
43 O 0.048 0.492 0.757
44 O 0.449 0.239 0.774
45 Ca 0.310 0.278 0.696
46 O 0.758 0.026 0.256
47 H 0.647 0.890 0.463
48 Ca 0.545 0.189 0.875
49 O 0.148 0.376 0.876
50 Ca 0.955 0.189 0.375
- - -

thinking green

thinking green helps. When i purchase things I ask myself if I can recycle the packaging or if it is bio degradable.. I know we do not have much in the way of recycling in my area, so when I buy a soda in a single serve, I buy it in an aluminum can. Aluminum is the one metal I am certian that my landfill removes and seperates. They dont remove MANY plastics.
I try to recycle anything I can that works in my compost pile, and food scraped from plates, feeds the chickens. so, the same energy, grown, cooked, and eaten, then possibly wasted by being tossed out, gets used yet again , feeding something else that while it emits co2 , is not emitting MORE co2 by being fed a processed grain as well as anything I can come up with.,
Speaking to my hay grower, there have been droughts and hay shortages in parts of the country that are driving buyers to our area, to buy hay.. they are inadvertently driving up the price of our hay. Making us look worried at the price our hay may cost us by the end of the upcoming winter.